Our international success and rapid expansion results from the fact that Helmes is using the techniques of applied sciences for developing business-critical software solutions and has been able to standardize and package its services. It is the packaging of our services that has made it possible for us to get to talk to several major global clients and win their trust. The fact that such giants even listen to what we have got to say is a great thing in itself and true recognition of our expertise and competence.
Our ambition is to turn Helmes and our working methods into the global gold standard of the quality of business-critical software services. However, becoming a standard and verifying compliance thereof means that all processes must be describable and measurable. This is not an easy challenge in the case of providing professional services. Helmes has found its own way, which could serve as an inspiration and example for other Estonian service companies with an ambition to make it on the international level.
+++
Density functional theory data (wB97M-V/def2-TZVPD) for a single C28H43N3 molecule.

```
74
Properties=species:S:1:pos:R:3:lowdin_charge:R:1
C -3.033 -3.379 -0.272 -0.14
N -2.824 -2.555 0.899 -0.11
C -3.743 -1.444 1.037 -0.19
C -3.539 -0.275 0.050 -0.34
C -4.587 0.829 0.311 -0.11
C -5.979 0.361 0.014 -0.25
C -6.409 0.234 -1.302 -0.05
C -7.679 -0.230 -1.592 -0.09
C -8.544 -0.573 -0.566 -0.10
C -8.129 -0.447 0.749 -0.09
C -6.856 0.015 1.035 -0.05
N -2.212 0.310 0.165 -0.02
C -1.300 0.059 -0.930 -0.19
C 0.142 0.340 -0.476 -0.34
C 0.270 1.814 -0.078 -0.13
C 1.683 2.301 0.261 -0.33
C 2.614 2.279 -0.953 -0.17
C 4.001 2.805 -0.591 -0.21
C 3.912 4.224 -0.040 -0.21
C 2.995 4.254 1.178 -0.20
C 1.610 3.726 0.817 -0.17
N 0.430 -0.537 0.654 -0.02
C 0.916 -1.864 0.334 -0.22
C 2.355 -1.965 -0.200 -0.17
C 3.402 -1.479 0.809 -0.16
C 4.785 -1.790 0.314 -0.24
C 5.420 -0.944 -0.586 -0.04
C 6.680 -1.247 -1.071 -0.08
C 7.322 -2.404 -0.664 -0.10
C 6.695 -3.256 0.230 -0.09
C 5.436 -2.950 0.713 -0.05
H -4.051 -3.768 -0.246 0.08
H -2.892 -2.857 -1.232 0.06
H -2.339 -4.218 -0.235 0.08
H -1.868 -2.210 0.918 0.07
H -3.628 -1.057 2.055 0.12
H -4.759 -1.833 0.931 0.12
H -3.684 -0.641 -0.974 0.13
H -4.503 1.148 1.351 0.12
H -4.332 1.678 -0.326 0.12
H -5.740 0.506 -2.107 0.11
H -7.998 -0.322 -2.620 0.10
H -9.537 -0.933 -0.790 0.10
H -8.799 -0.709 1.555 0.10
H -6.538 0.111 2.063 0.11
H -1.763 0.008 1.025 0.10
H -1.356 -0.978 -1.304 0.10
H -1.560 0.719 -1.766 0.12
H 0.804 0.135 -1.332 0.13
H -0.383 1.980 0.780 0.12
H -0.116 2.417 -0.902 0.13
H 2.116 1.663 1.040 0.13
H 2.186 2.901 -1.743 0.13
H 2.703 1.263 -1.342 0.10
H 4.645 2.787 -1.474 0.11
H 4.453 2.157 0.165 0.11
H 4.907 4.583 0.230 0.11
H 3.513 4.888 -0.811 0.11
H 2.913 5.274 1.559 0.11
H 3.426 3.636 1.970 0.11
H 1.159 4.378 0.065 0.12
H 0.967 3.743 1.700 0.12
H 1.066 -0.087 1.302 0.10
H 0.241 -2.303 -0.406 0.11
H 0.842 -2.460 1.251 0.12
H 2.453 -1.393 -1.125 0.10
H 2.552 -3.011 -0.441 0.12
H 3.230 -1.973 1.768 0.12
H 3.301 -0.401 0.952 0.10
H 4.926 -0.039 -0.908 0.10
H 7.163 -0.577 -1.768 0.10
H 8.306 -2.640 -1.040 0.10
H 7.190 -4.160 0.553 0.10
H 4.951 -3.618 1.412 0.11
```

Calculated values
LUMO: 0.83 eV
frontier orbital gap: 9.0 eV
total charge: 0
calculated total energy: -1257.007998 a.u.
relative energy (zero: lowest compared OMol25 entry of this formula, charge and spin): 0.174 eV
structure (SMILES): CNC[C@@H](Cc1ccccc1)NC[C@@H](CC1CCCCC1)NCCCc1ccccc1
multiplicity: 1

=====

Density functional theory data (wB97M-V/def2-TZVPD) for a molecular structure, C28H44BrEuN3P2 at a distorted geometry.

```
79
Properties=species:S:1:pos:R:3:lowdin_charge:R:1
C -0.898 7.217 -3.927 -0.01
C -1.077 5.853 -4.186 -0.24
C -1.385 5.456 -5.492 -0.01
C -1.503 6.448 -6.491 -0.12
N -1.332 7.744 -6.233 0.06
C -1.037 8.133 -4.993 -0.12
C -0.945 4.874 -3.127 0.07
C -0.833 4.043 -2.226 0.04
C -0.703 3.081 -1.184 -0.23
C 0.358 3.164 -0.264 0.00
C 0.488 2.215 0.765 -0.14
C -0.451 1.266 0.771 -0.43
C -1.511 1.081 -0.032 -0.17
+++
_End of the molecular data_
How to Scale Up A Service?
In the physical products business scaling up is clearly understood – you just have to find and build the item that the consumers like. As the demand increases you produce more of the same and keep selling it. You can scale up only such things that can be repeatedly produced.
Helmes has been managing its growth from a slightly different angle. We have packaged our service, using the approach of „service as a product“. And this has enabled us to speak about scaling up our product, i.e., service. A service can be scaled up if this positive experience or event can be effectively repeated.
However, in the course of packaging with the aim of starting to sell them in large quantities, one has to be very careful. Otherwise, there is a risk that along with the good bits some defective parts find their way into the package, and these start to multiply the negative effect as the service delivery is scaled up. We have carefully picked the parts to include and the ones to leave out of our packaged service.
We have defined The Helmes Way for ourselves, which means that we have turned our business into applied science.
The real accelerator of our global growth, which has allowed us to win the trust of the clients derives from this packaged service model with its processes that are managed in an unambiguous manner. Our M&A approach is also built on the same foundation and has enabled us to convince strong companies to join us.
The Helmes Success Line – Handbook for Avoiding Common Mistakes
We have packaged and standardized two important processes.
To start, we use The Helmes Success Line when we meet a client for the first time. It is a description of the whole Helmes business process, e.g., how we offer and sell our service to the client and how we manage the success of each stage.
There is a lot of specialty literature in software development dealing with common pitfalls and the reasons why they occur in the stages of analysis, design, development, quality assurance, release, and support. But for some reason people keep making these mistakes over and over again, despite the fact that they are all well documented, and even the statistical probability is shown.
This is true for our clients and competitors, but also for some of our own younger colleagues, newer business units or teams. In order to prevent these stumbling blocks, we have described the whole process to the smallest detail. We know and are able to precisely tell the client what is going to happen after the next two steps, showing exactly where to slow down to avoid errors. Or when it’s time to just to get out of the way and let the team sprint in full speed.
SEE ALSO: Success Line
The Helmes Team Model – Guarantee of Individual Development and Service Effectiveness
The second part of our process description is The Helmes Team Model – the internal organisation of our work.
Our mission and the challenge has been to create a working environment for our talented professionals that would make them want to stay with us for 10-15 years and not needing to look for excitement or growth elsewhere.
In our research we have collaborated with the Aalto University, to add scientific weight to our concept. We have established both quantitative and qualitative reasons, why one team is excellent and another merely good or OK. As an innovative approach in the software sector, we have introduced the measuring of the teams’ performance not only on the basis of technical and financial indicators but on the basis of three balanced KPIs:
- team satisfaction,
- client satisfaction
- work effectiveness.
As a result, it has been built into the DNA of team management that employee satisfaction is just as important as financial performance and client satisfaction. How we measure all of this is part of our business wisdom, but one thing is certain – if any one of the indicators is in the red, things won’t work. A three-legged stool cannot stand on two legs only.
Based on the criteria of quality of work and effectiveness we are already among the world’s top 5% of companies offering the service of building business-critical software solutions.
But we want more!
Benchmarking is made difficult by the lack of generally recognised metrics to assess the effectiveness of integrated software development services. We have had to figure it out ourselves. In our model we have mapped multiple roles with more than 300 activities and skills.
If any one of those skills or activities is left out or performed badly, the general quality drops immediately. Each and every role is important. Wouldn’t all of us like to play first fiddle in a world-class orchestra? Or at least dream about it. But a young talent straight out of university is not ready to play first fiddle. We have built into our team model the path for the young to achieve that position as well as how to support and empower the cooperation in teams.
SEE ALSO: Tailored team models
Freedom and Entrepreneurship Are in the Helmes DNA
Based on the above some might think that in Helmes everything has been prescribed down to the last detail and nothing is left for chance. Far from it! Helmes grants its people great freedom but also demands responsibility – to contribute and make decisions in their particular fields. A trust-based culture that rewards working smart and strong performance is very inspiring for employees with an entrepreneurial spirit.
The whole organisational structure of Helmes has been built on the principle of autonomy of the teams and business units, supporting entrepreneurial thinking and great independence. We do not have corporate bureaucracy; we trust our employees and allow them great freedom in making their own decisions. The teams also have budgetary autonomy. For example, they can decide how to manage their budget and what they have to do to better serve their clients. It goes without saying that the team members get a share of the profits earned.
Given that Helmes provides services to major international clients and focuses on business-critical systems, the great freedom the employees enjoy comes with great responsibility as well. Responsibility both towards their team and the client. The significance of our work comes through knowing that the solutions we have created for these global companies who provide services all across the world, directly influence the life, health, work, and well-being of millions of people.
As a result, we have created an environment that ensures agility and autonomy but includes also a shared part – an ecosystem that supports the growth of all while taking into account the individual and special nature of the teams and their members. And last but not least, applied science in our work means that we have been able to painstakingly describe every detail of all the activities that prove to the client why we are the most effective of them all.